One dollar spent by government on the private health insurance rebate is up to 15 per cent more efficient than a dollar directed at the public health system.
According to the study commissioned by Private Healthcare Australia and conducted by social policy research firm, Evaluate, government spending on the rebate is economically efficient, both in terms of direct economic costs and overall welfare gains.
Central to the report's finding is that private health insurance makes a lower call on the public purse because of user-funded premiums - the rebate essentially leverages a significant additional consumer contribution. In addition, it redirects patients away from the public system, reducing demand and overall waiting times, while ensuring people receive treatment earlier.
Materials data from another source follow:
********
No. 1
Computed X-ray diffraction stick pattern
Compound: PmDy5In2
Radiation: Cu Kα X-rays
Structure: a GGA-PBE-relaxed structure
Neutral-atom scattering factors, no anomalous dispersion.

Structure:
```
PmDy5In2
1.0
3.5939 0.0000 0.0000
0.0000 10.5239 0.0000
0.0000 0.0000 12.7310
Pm Dy In
2 10 4
direct
0.0000 0.0000 0.0000
0.5000 0.5000 0.5000
0.0000 0.2260 0.3651
0.0000 0.2260 0.6349
0.0000 0.5000 0.0000
0.0000 0.7740 0.3651
0.0000 0.7740 0.6349
0.5000 0.0000 0.5000
0.5000 0.2740 0.1349
0.5000 0.2740 0.8651
0.5000 0.7260 0.1349
0.5000 0.7260 0.8651
0.0000 0.5000 0.2599
0.0000 0.5000 0.7401
0.5000 0.0000 0.2401
0.5000 0.0000 0.7599
```

Top 12 peaks for 2θ from 5° to 70°, in order of falling intensity:
2theta  d [Å]  Rel. int.
32.89  2.723  100
30.94  2.890  90
32.65  2.743  62
34.08  2.631  41
47.91  1.899  34
61.86  1.500  32
59.62  1.551  27
50.80  1.797  19
35.77  2.510  17
62.60  1.484  14
58.51  1.577  13
43.57  2.077  13

=====

No. 2
Computed X-ray diffraction stick pattern
Compound: Zr2CdF11
Radiation: Cu Kα X-rays
Structure: a GGA-PBE-relaxed structure
Neutral-atom scattering factors, no anomalous dispersion.

Structure:
```
Zr2CdF11
1.0
-3.9719 5.0789 5.3868
3.9719 -5.0789 5.3868
3.9719 5.0789 -5.3868
Zr Cd F
4 2 22
direct
0.1813 0.1377 0.3190
0.3187 0.6377 0.9564
0.6813 0.3623 0.0436
0.8187 0.8623 0.6810
0.2500 0.7500 0.5000
0.7500 0.2500 0.5000
0.0000 0.0000 0.0000
0.0427 0.4679 0.7865
0.0555 0.8694 0.6574
0.1814 0.9679 0.4252
0.2120 0.3981 0.3426
0.2180 0.8748 0.0928
0.2820 0.3748 0.6568
0.2880 0.6306 0.1862
0.3186 0.7438 0.7865
0.4445 0.1019 0.8138
0.4573 0.2438 0.4252
0.5000 0.5000 0.0000
0.5427 0.7562 0.5748
0.5555 0.8981 0.1862
0.6814 0.2562 0.2135
0.7120 0.3694 0.8138
0.7180 0.6252 0.3432
0.7820 0.1252 0.9072
0.7880 0.6019 0.6574
0.8186 0.0321 0.5748
0.9445 0.1306 0.3426
0.9573 0.5321 0.2135
```

Top 12 peaks for 2θ from 5° to 70°, in order of falling intensity:
2theta  d [Å]  Rel. int.
21.77  4.082  100
24.08  3.695  63
25.46  3.499  50
44.44  2.039  46
49.28  1.849  41
22.36  3.977  34
46.70  1.945  31
28.66  3.115  18
14.15  6.258  17
48.89  1.863  17
45.20  2.006  17
16.46  5.387  16

=====

No. 3
Computed X-ray diffraction stick pattern
Compound: La3Tl2Pb
Radiation: Cu Kα X-rays
Structure: a GGA-PBE-relaxed structure
Neutral-atom scattering factors, no anomalous dispersion.

Structure:
```
La3Tl2Pb
1.0
3.6915 0.0000 0.0000
0.0000 3.6915 0.0000
0.0000 0.0000 13.7743
La Tl Pb
3 2 1
direct
0.0000 0.0000 0.0000
0.0000 0.0000 0.3299
0.0000 0.0000 0.6701
0.5000 0.5000 0.1654
0.5000 0.5000 0.8346
0.5000 0.5000 0.5000
```

Top 12 peaks for 2θ from 5° to 70°, in order of falling intensity:
2theta  d [Å]  Rel. int.
31.09  2.877  100
34.36  2.610  39
59.50  1.554  32
53.13  1.724  22
49.38  1.846  14
39.24  2.296  13
64.81  1.438  12
66.09  1.414  12
24.11  3.692  3
19.33  4.591  3
39.72  2.269  2
46.59  1.949  1

=====

No. 4
Computed X-ray diffraction stick pattern
Compound: Cr2Cu5Pd12
Radiation: Cu Kα X-rays
********
The rebate has undergone significant reform in recent years with means testing, changes in indexation and its removal from Lifetime Health Cover loading. The result has been an ongoing annual reduction in its value and emerging affordability issues for Australians with private health insurance.
In July, the Australian Competition and Consumer Commission released its annual report to the Senate regarding the private health insurance industry. The report confirmed affordability is a significant concern for consumers. Over 60 per cent of people who dropped their insurance blamed the cost of premiums.
The Evaluate study’s conclusions are largely based on an economic model. However, it says private health insurance provided 'potential welfare effects' not captured in its model, including choice as well as expanding the range of options available to consumers.
"...we expect that PHI yields benefits through the competitive effects of the private sector which it supports, and which acts as a discipline on the public sector," it says.
Private Healthcare Australia CEO, Dr Rachel David, said the report confirms the current mix of expenditure is getting the balance right between the public and private system.
“The PHI Rebate allows a greater proportion of the population to access private health care, which benefits the wider community by reducing waiting times in public hospitals. A healthy private sector is essential to the sustainability of Australia’s health system and the Private Health Insurance rebate is a key component of this,” said Dr David.
“The volume of incorrect information being circulated by people with a vested interest or a particular philosophical barrow to push against the PHI rebate needs to be challenged. This study confirms that further change to the current mix of expenditure would have a detrimental impact across the Australian health system.
“In the interests of maintaining affordability of PHI for low and middle income earners, no further reductions should be made to the rebate on PHI premiums for either hospital or ‘extras’. Doing so will not benefit public hospitals or Medicare," added Dr David.